One Model Blog

DEI Data: The Key to Fostering a More Inclusive Culture

Written by Dennis Behrman | Mar 28, 2024 5:00:00 AM

In a timely conversation on DEI data, Phil Shrader of One Model and Season Chapman and Yuli Lopez of Culture Curated shed light on the importance of diversity and inclusion data analytics.

While strides have been made in leveraging people analytics to propel the DEI movement forward, they reveal a stark reality: The journey towards achieving comprehensive diversity data standards is far from over.

### Molecular data that have nothing to do with the page
- - -
1.
105
Properties=species:S:1:pos:R:3 method="wB97M-V/def2-TZVPD" spin_multiplicity=1 de_lowest_ev=13.067 total_charge=-1 e_homo_ha=-0.18929 orbital_gap_ha=0.2356 lumo_energy_ev=1.26
P -0.68103 -0.37804 2.01352
F 2.17865 -1.95447 1.89269
F 2.11621 -3.95683 -0.25546
O 3.46509 -0.33814 0.65769
O -7.12930 3.73558 2.00280
O 4.49706 -1.26251 -2.76208
O 5.34665 -6.97999 2.93817
O 4.57872 -5.16046 1.97572
O -2.11041 0.40497 2.72236
O 3.30433 5.15674 -6.23926
O 4.24919 3.28809 -7.18143
O -1.03469 1.28521 -0.01321
O 5.00848 -5.10995 4.23073
O -5.35733 3.89864 3.29132
O 0.64892 0.46302 2.74483
O -0.08494 -3.39729 -1.03791
O 2.05820 3.42640 -7.09670
O -2.45202 -1.92616 5.29540
O 1.10116 0.90958 -0.77163
O -5.84499 1.86161 2.35057
N 1.53623 -1.48633 -0.55017
N 0.65627 3.02150 0.65355
C 1.11131 4.34883 -1.50607
C 0.85183 4.12959 -6.77039
C -6.08195 3.04696 2.52135
C -2.23284 -0.55871 5.79079
C 3.21163 4.06372 -6.77504
C 4.07457 -3.83209 2.08688
C -0.78374 -0.18864 0.12924
C -3.78215 -2.12210 1.65448
C 3.98157 0.11478 -2.78304
C -8.02813 2.97183 1.18729
C 4.99035 -5.68946 3.15640
C 0.00447 3.11412 -1.72164
C 1.98910 5.47335 -1.56180
C -2.65427 -2.20440 0.46942
C -3.63128 -2.02135 4.41656
C 0.17926 -0.54680 -2.47278
C -4.28073 3.27167 3.98335
C -3.13160 -2.80361 3.03655
C -2.27086 -0.78131 -0.24017
C 2.56474 0.32370 -3.57538
C -8.94079 2.10981 2.04189
C 1.08731 -2.91396 -0.62990
C 5.52565 3.89429 -6.99634
C 0.58398 5.24409 -7.76664
C 1.48430 -0.91492 -3.39510
C 5.77415 -7.70762 4.09751
C 4.58758 -8.11710 4.95235
C 0.49282 -0.46109 -0.84707
C 2.42654 -1.17811 0.61996
B 0.17522 2.05446 -0.45613
H -9.68261 1.59943 1.42099
H 3.88419 0.62469 -1.73082
H 1.26661 0.88809 2.08326
H 4.79244 0.76005 -3.37618
H -2.42738 -0.91002 -1.41649
H -1.99601 -0.62895 6.95821
H 4.79518 -3.17133 2.58048
H 0.58316 4.85436 -8.78974
H -7.47422 2.37466 0.45420
H -1.23479 -0.14847 5.30235
H 4.14202 -1.77297 -1.95342
H -4.73715 -2.77901 1.37502
H -1.95965 -2.76317 3.05653
H 1.68131 2.82118 0.85488
H 5.64161 4.73549 -7.68670
H -8.37587 1.35244 2.59145
H 4.91114 -8.74780 5.78531
H -3.11045 -0.00365 0.08829
H 0.11423 2.76789 1.51187
H -1.74479 -2.81720 0.88914
H 6.28573 -8.60601 3.73474
H 3.89533 -3.45100 1.07762
H -8.63289 3.69211 0.62525
H -9.46066 2.72038 2.78725
H 6.29236 3.14928 -7.22675
H -4.18911 -1.04133 1.85985
H 5.66574 4.22225 -5.96080
H -3.14478 0.16566 5.67672
H -4.67379 2.60848 4.76011
H 3.12354 -3.83923 2.62832
H -4.38796 -2.75444 4.94241
H -1.07499 3.56539 -1.69282
H 0.28820 2.61193 -2.75781
H 2.00583 -1.94827 -3.10234
H -0.30515 0.41734 -2.92103
H 0.03775 3.39791 -6.81870
H 4.07180 -7.24566 5.36385
H 2.04706 1.32447 -3.23839
H -3.41581 -3.95998 3.10369
H -4.09263 -0.99556 4.09414
H -0.38147 5.71739 -7.56616
H 6.50717 -7.12849 4.67033
H 1.35806 6.01454 -7.72209
H -0.61047 -1.42266 -2.65964
H -3.63171 2.71906 3.29567
H -3.68498 4.05267 4.46407
H 2.80924 0.42445 -4.72543
H -3.12709 -2.88707 -0.38872
H 1.05713 -1.11019 -4.49357
H 0.88770 4.50431 -5.74125
- - -
### Back to the page

What’s Missing and What’s Present in Your DEI Data?

As we delve deeper into the complexities of gathering DEI data, it becomes evident that significant gaps in what is collected hinder progress toward truly inclusive environments. Critical areas needing attention and improvement include:

Performance reviews and gender bias

Season Chapman highlighted a concerning statistic: In a significant study, 66% of women received negative personality-related feedback in performance reviews, compared to less than 1% of men. (Source)

This discrepancy not only exposes a gender bias but underscores the need for a more nuanced approach to evaluating performance and collecting performance data. By systematically analyzing both the written and verbal components of reviews, organizations could begin to identify biases entrenched in their evaluation processes.

Ageism and Strength-Based Diversity

The often overlooked dimension of age bias, dubbed by the American Psychological Association as 'the last socially acceptable prejudice,’ highlights a gap in DEI initiatives’ predominant focus on racial and gender bias.

Season also highlighted the tendency to emphasize weaknesses rather than strengths in organizational cultures. Incorporating strength-based analytics into DEI strategies could revolutionize how talents are matched with roles, fostering a more inclusive and productive workplace environment.

Do you track and measure these 4 diversity metrics?

Awareness of DEI Data Bias Types

The above examples and many others highlight the significant potential for bias in data and data collection. Bias can exist within current data due to a variety of factors, including but not limited to:

  • Historical bias can exist when past data, such as male-dominated hiring patterns, favors men over women for certain roles.
  • Representation bias can occur when data used to train an algorithm may over- or underrepresent some groups. An example of this is found with facial recognition tools that produce higher error rates for certain groups.
  • Measurement bias can happen when data that is collected disproportionately values behaviors or achievements that are more accessible to a particular group.
  • Algorithmic bias can result when algorithms use their own predictions to make future decisions, which can replicate and even amplify existing biases in the dataset.

Someone pasted records of molecules at this point:
No. 1
ORCA calculation (ωB97M-V/def2-TZVPD) on a molecular structure, C26H27AlN2O2S.

Geometry as XYZ:
```
59
C26H27AlN2O2S | the Open Molecules 2025 dataset | ωB97M-V/def2-TZVPD
Al -0.82 0.25 -0.36
C -3.39 3.23 1.95
C -2.40 2.79 0.86
C -3.02 2.93 -0.53
C -1.96 1.38 1.22
C -0.88 1.17 2.11
C -0.64 -0.06 2.69
C -1.41 -1.19 2.36
C -1.11 -2.53 2.96
C -2.44 -1.02 1.44
C -2.74 0.24 0.90
H -3.68 4.27 1.77
H -2.95 3.17 2.95
H -4.29 2.62 1.92
H -1.52 3.43 0.92
H -3.99 2.44 -0.60
H -2.38 2.54 -1.32
H -3.17 3.99 -0.75
H -0.27 2.03 2.40
H 0.14 -0.16 3.44
H -0.25 -2.98 2.47
H -1.95 -3.21 2.86
H -0.87 -2.43 4.02
H -3.06 -1.86 1.16
H -3.62 0.35 0.27
C -0.80 -3.94 -7.28
C -0.90 -2.99 -6.13
C -1.52 -1.75 -6.28
C -1.70 -0.91 -5.20
C -1.20 -1.31 -3.96
C -0.55 -2.54 -3.78
C -0.41 -3.36 -4.87
S -1.60 -0.33 -2.60
O -2.93 0.17 -2.65
O -1.37 -1.19 -1.33
N -0.59 0.89 -2.19
C 0.79 0.73 -2.54
C 1.29 0.95 -3.79
C 2.66 0.80 -4.05
C 3.53 0.45 -3.06
C 3.04 0.22 -1.75
C 3.87 -0.15 -0.67
C 3.32 -0.41 0.56
C 1.94 -0.28 0.72
N 1.12 0.09 -0.26
C 1.66 0.34 -1.50
H -0.96 -3.44 -8.24
H -1.56 -4.72 -7.18
H 0.17 -4.44 -7.30
H -1.89 -1.45 -7.25
H -2.21 0.04 -5.31
H -0.19 -2.83 -2.80
H 0.09 -4.32 -4.75
H 0.61 1.26 -4.59
H 3.03 0.97 -5.06
H 4.59 0.36 -3.25
H 4.94 -0.24 -0.83
H 3.92 -0.70 1.40
H 1.49 -0.50 1.68
```

## Properties
Spin multiplicity: 1
Max |F| (hartree/bohr): 0.01740
Gap between HOMO and LUMO (eV): 8.0784
E (eV): -51896.063
Total charge: +2
LUMO energy (eV): -6.729
HOMO (eV): -14.8

How positive or negative is each atom? The Löwdin charges in e answer that: atom 1 (Al): 0.401, atom 2 (C): -0.026, atom 3 (C): -0.362, atom 4 (C): -0.044, atom 5 (C): -0.253, atom 6 (C): -0.004, atom 7 (C): -0.016, atom 8 (C): -0.223, atom 9 (C): 0.000, atom 10 (C): 0.016, atom 11 (C): -0.027, atom 12 (H): 0.099, atom 13 (H): 0.093, atom 14 (H): 0.099, atom 15 (H): 0.147, atom 16 (H): 0.097, atom 17 (H): 0.055, atom 18 (H): 0.103, atom 19 (H): 0.152, atom 20 (H): 0.142, atom 21 (H): 0.102, atom 22 (H): 0.098, atom 23 (H): 0.103, atom 24 (H): 0.151, atom 25 (H): 0.152, atom 26 (C): -0.020, atom 27 (C): -0.223, atom 28 (C): 0.002, atom 29 (C): -0.030, atom 30 (C): -0.310, atom 31 (C): -0.028, atom 32 (C): -0.003, atom 33 (S): 0.801, atom 34 (O): -0.218, atom 35 (O): -0.214, atom 36 (N): -0.082, atom 37 (C): -0.236, atom 38 (C): 0.031, atom 39 (C): -0.014, atom 40 (C): 0.012, atom 41 (C): -0.121, atom 42 (C): 0.063, atom 43 (C): 0.005, atom 44 (C): -0.040, atom 45 (N): 0.104, atom 46 (C): -0.110, atom 47 (H): 0.089, atom 48 (H): 0.104, atom 49 (H): 0.093, atom 50 (H): 0.131, atom 51 (H): 0.132, atom 52 (H): 0.120, atom 53 (H): 0.131, atom 54 (H): 0.135, atom 55 (H): 0.128, atom 56 (H): 0.134, atom 57 (H): 0.144, atom 58 (H): 0.130, atom 59 (H): 0.106


No. 2
ORCA calculation (ωB97M-V/def2-TZVPD) on a molecular structure, C22H16FN6PdSe at a distorted geometry.

Geometry as XYZ:
```
47
C22H16FN6PdSe | the Open Molecules 2025 dataset | ωB97M-V/def2-TZVPD
Pd 0.02 0.43 0.08
Se 2.98 -5.30 -4.28

It’s important to note that there’s no such thing as completely bias-free data. (Source)
But we must seek to mitigate bias in our analytics by choosing effective technology, increasing our awareness of how it occurs, and applying safeguards.

3 Key Considerations in Advancing DEI Through Analytics

Exploring the landscape of diversity data reveals three pivotal areas essential for effective DEI strategies:

  • Accurately interpreting and applying DEI data: To achieve this, organizations can use advanced analytics and visualization tools that enable stakeholders to see beyond the surface-level numbers. This enables them to identify underlying patterns and insights that drive targeted, effective DEI interventions.
  • Ensuring data collection methods capture the full diversity of an organization: This involves developing and implementing data collection strategies that are inclusive of all identities and experiences, thus mitigating biases that could skew the understanding of the organization's diversity landscape.
  • Addressing privacy, confidentiality, and bias in data and algorithms: Organizations should establish multidisciplinary ethics committees that regularly review data collection, analysis practices, and algorithmic decisions for biases. This oversight ensures continuous alignment with ethical standards and promotes fairness and equity in all AI-driven DEI decisions.

How One Model Supports DEI Initiatives

Modern enterprises must do more than just track hiring metrics; they need to deeply analyze diversity data to drive genuine improvements. Leveraging people analytics software like One Model enables organizations to reduce bias and harness insights for crafting policies that foster long-lasting diversity and inclusion.

Our clients use One Model's powerful analytics to visualize and monitor their DEI journey, establishing robust strategies that not only report but actively shape a more inclusive workplace.

## Next to the text, the page also holds molecular data
____________
# C19H21O2Ti

A structure of composition C19H21O2Ti at a distorted geometry (ωB97M-V with the def2-TZVPD basis set, the OMol25 dataset).

Structure (XYZ):
```
43
Properties=species:S:1:pos:R:3:lowdin_charge:R:1
C 1.0679 2.4077 0.0794 -0.10
C 1.2344 1.9922 -1.2790 -0.07
C -0.0457 1.6400 -1.7981 -0.17
H 2.1671 1.9361 -1.8487 0.12
C -1.0335 1.8804 -0.7395 -0.22
C -0.3024 2.2299 0.4565 -0.12
H -0.7375 2.4530 1.4329 0.12
H 1.8416 2.8463 0.7215 0.12
H -0.1930 1.2369 -2.7923 0.09
H -2.1136 1.9137 -0.8360 0.09
C -0.6159 -2.5014 0.0575 -0.13
C 0.4303 -2.0640 0.9695 -0.12
C -0.1172 -1.0796 1.8775 -0.12
H 1.5102 -2.3468 0.9531 0.12
C -1.4961 -0.8844 1.5044 -0.15
C -1.8415 -1.8582 0.4564 -0.13
H -2.8600 -2.1569 0.1260 0.11
H -0.4938 -3.1268 -0.8082 0.11
H 0.4512 -0.5720 2.6792 0.14
H -2.1643 -0.1911 1.9813 0.11
Ti -0.2675 -0.1875 -0.3165 1.06
O -1.1859 -0.4750 -1.8675 -0.38
C -2.1112 -0.3749 -3.0505 -0.16
C -3.3891 0.4469 -2.8893 0.15
H -1.7903 -0.0075 -4.1274 0.18
H -2.2316 -1.4601 -3.2305 0.12
H -3.2450 1.3980 -2.4924 0.10
H -5.6043 1.7888 -3.0184 0.13
C -5.7744 0.7239 -2.9635 0.02
C -4.6583 -0.1410 -2.7794 -0.20
C -4.8593 -1.5345 -2.5546 0.03
H -4.0094 -2.1824 -2.2732 0.13
C -6.1371 -2.0670 -2.7568 -0.02
H -6.3065 -3.1623 -2.6479 0.13
C -7.2107 -1.2220 -3.1085 0.01
H -8.1908 -1.6550 -3.3109 0.13
C -7.0190 0.1728 -3.1972 -0.03
H -7.8664 0.8210 -3.4557 0.13
C 2.6590 0.0154 1.0443 -0.15
O 1.4909 -0.0342 0.3033 -0.46
H 2.6096 0.7637 1.8428 0.09
H 3.4130 0.2883 0.3128 0.09
H 2.8241 -0.9697 1.4756 0.08
```

DFT total energy: -47242.5570 eV
maximum force: 5.57 eV Å⁻¹
energy above the lowest of the compared OMol25 structures with the same formula, charge and spin: 340.09 kJ/mol
charge: +1
highest occupied orbital energy (spin up / spin down): -10.0 / -10.0 eV

***

# C19H22BClI2N2O7

A cluster of 3 separate species, C19H22BClI2N2O7 in total at a distorted geometry (ωB97M-V with the def2-TZVPD basis set, the OMol25 dataset).

Structure (XYZ):
```
54
Properties=species:S:1:pos:R:3:lowdin_charge:R:1
C 4.2850 0.2148 2.4944 -0.15
C 3.0944 1.2133 2.7559 -0.78
I 3.6296 2.8787 4.0294 0.75
C 2.4402 1.7816 1.3810 -0.71
I 3.0750 3.7847 0.8552 0.79
C 0.8747 1.6766 1.5718 -0.19
C 0.0754 2.8035 2.0561 -0.05
C -1.3760 2.5862 2.2359 -0.50
Cl -2.3238 4.0048 2.8221 0.65
C -2.0274 1.3141 1.9637 -0.04
B -3.5981 1.0539 2.1988 -0.55
N -4.6568 1.2762 1.2240 0.18
O -3.9760 0.5920 3.4988 0.09
C -1.1883 0.2418 1.4599 0.00
C 0.2608 0.3863 1.2598 0.00
C 0.8835 -0.9449 0.7609 -0.33
O 2.0254 -1.2503 0.5615 0.10
N -0.2649 -1.8048 0.6323 0.14
C -1.5304 -1.2121 1.0305 -0.35
O -2.5830 -1.7742 0.9745 0.15
H 4.1655 -0.3880 1.5566 0.06
H 5.2593 0.7637 2.4768 0.07
H 4.2862 -0.5190 3.3500 0.09
H 2.2760 0.6167 3.2454 0.08
H 2.6950 1.1171 0.5123 0.07
H 0.5003 3.8015 2.2883 0.07
H -5.5329 1.1637 1.7497 0.10
H -4.5781 2.2431 0.8940 0.10
H -3.6445 1.2262 4.1625 0.10
H -0.3699 -2.0187 -0.3680 0.16
O -5.3183 2.0598 -4.0730 0.12
C -5.2880 1.1035 -3.3520 -0.49
O -5.7287 1.1122 -2.0671 0.02
____________

Ready to project your diversity in 5 years?
One Model can calculate that for you.